_Work order_
Could you say how many lines of the rows below hold the word "intense", as a bare number?

_File_
~~~
Entry 1:
This entry pairs a crystal structure of NaAsO6 with its computed powder X-ray diffraction pattern. Radiation: Cu Ka. Structure: the GGA-PBE geometry in the Materials Project.
Kinematic intensities with the Lorentz-polarization factor, no thermal factor.

The 6 most intense peaks (10° ≤ 2θ ≤ 90°), sorted by position:
2θ = 10.49°, d 8.429, I 51
2θ = 13.87°, d 6.387, I 100
2θ = 21.96°, d 4.048, I 53
2θ = 24.52°, d 3.631, I 39
2θ = 28.24°, d 3.160, I 53
2θ = 30.41°, d 2.940, I 76

Structural model:
```
NaAsO6
1.0
6.614 0.000 0.000
0.000 4.616 0.000
-2.269 0.000 8.429
Na As O
2 2 12
Direct
0.246 0.000 0.486
0.754 0.500 0.514
0.371 0.659 0.060
0.629 0.159 0.940
0.015 0.117 0.760
0.018 0.389 0.763
0.265 0.500 0.554
0.422 0.280 0.033
0.459 0.473 0.649
0.477 0.146 0.729
0.523 0.646 0.271
0.541 0.973 0.351
0.578 0.780 0.967
0.735 0.000 0.446
0.982 0.889 0.237
0.985 0.617 0.240
```


Entry 2:
This entry pairs a crystal structure of NaAlCdF6 with its computed powder X-ray diffraction pattern. Radiation: Cu Ka. Structure: the GGA-PBE geometry in the Materials Project.
Kinematic intensities with the Lorentz-polarization factor, no thermal factor.

The 6 most intense peaks (10° ≤ 2θ ≤ 90°), sorted by position:
2θ = 11.18°, d 7.912, I 100
2θ = 26.60°, d 3.351, I 54
2θ = 27.37°, d 3.259, I 36
2θ = 33.16°, d 2.702, I 37
2θ = 33.35°, d 2.686, I 28
2θ = 45.75°, d 1.983, I 29

Structural model:
```
NaAlCdF6
1.0
12.696 0.000 0.000
0.000 3.699 0.000
0.000 0.000 10.116
Na Al Cd F
4 4 4 24
Direct
0.085 0.250 0.174
0.415 0.750 0.674
0.585 0.250 0.326
0.915 0.750 0.826
0.164 0.250 0.820
0.336 0.750 0.320
0.664 0.250 0.680
0.836 0.750 0.180
0.120 0.750 0.500
0.380 0.250 0.000
0.620 0.750 0.000
0.880 0.250 0.500
0.027 0.250 0.855
0.042 0.250 0.402
0.144 0.250 0.640
0.166 0.750 0.814
0.193 0.750 0.287
0.199 0.250 0.995
0.301 0.750 0.495
0.307 0.250 0.787
0.334 0.250 0.314
0.356 0.750 0.140
0.458 0.750 0.902
0.473 0.750 0.355
0.527 0.250 0.645
0.542 0.250 0.098
0.644 0.250 0.860
0.666 0.750 0.686
0.693 0.750 0.213
0.699 0.250 0.505
0.801 0.750 0.005
0.807 0.250 0.713
0.834 0.250 0.186
0.856 0.750 0.360
0.958 0.750 0.598
0.973 0.750 0.145
```


Entry 3:
This entry pairs a crystal structure of Zr5Sb3 with its computed powder X-ray diffraction pattern. Radiation: Cu Ka. Structure: the GGA-PBE geometry in the Materials Project.
Kinematic intensities with the Lorentz-polarization factor, no thermal factor.

The 6 most intense peaks (10° ≤ 2θ ≤ 90°), sorted by position:
2θ = 30.84°, d 2.900, I 24
2θ = 32.10°, d 2.789, I 23
2θ = 35.73°, d 2.513, I 100
2θ = 36.54°, d 2.459, I 63
2θ = 37.52°, d 2.397, I 81
2θ = 58.06°, d 1.589, I 24

Structural model:
```
Zr5Sb3
1.0
8.519 0.000 0.000
-4.260 7.378 0.000
0.000 0.000 5.799
Zr Sb
10 6
Direct
0.000 0.253 0.250
0.000 0.747 0.750
0.253 0.000 0.250
0.253 0.253 0.750
0.333 0.667 0.000
0.333 0.667 0.500
0.667 0.333 0.000
0.667 0.333 0.500
0.747 0.000 0.750
0.747 0.747 0.250
0.000 0.388 0.750
0.000 0.612 0.250
0.388 0.000 0.750
0.388 0.388 0.250
0.612 0.000 0.250
0.612 0.612 0.750
```


Entry 4:
This entry pairs a crystal structure of MgSn2 with its computed powder X-ray diffraction pattern. Radiation: Cu Ka. Structure: the GGA-PBE geometry in the Materials Project.
Kinematic intensities with the Lorentz-polarization factor, no thermal factor.

The 6 most intense peaks (10° ≤ 2θ ≤ 90°), sorted by position:
2θ = 30.29°, d 2.951, I 27
2θ = 35.10°, d 2.556, I 100
2θ = 47.02°, d 1.933, I 16
2θ = 53.80°, d 1.704, I 17
2θ = 62.96°, d 1.476, I 19
2θ = 65.87°, d 1.418, I 31

Structural model:
```
MgSn2
1.0
2.951 1.704 5.115
-2.951 1.704 5.115
0.000 -3.408 5.115
Mg Sn
2 4
Direct
0.168 0.168 0.168
0.832 0.832 0.832
0.000 0.670 0.330
0.330 0.000 0.670
0.500 0.500 0.500
0.670 0.330 0.000
```


Entry 5:
This entry pairs a crystal structure of YCl3 with its computed powder X-ray diffraction pattern. Radiation: Cu Ka. Structure: the GGA-PBE geometry in the Materials Project.
~~~

_Done_
4